Types of Sleep: How to Wake Up Feeling Well Rested

Types of Sleep: How to Wake Up Feeling Well Rested
There are different states and stages of sleep (known as sleep architecture) and some leave you more rested than others. Your sleep architecture follows a predictable sleep cycle with MOR (rapid eye movement) and without MOR. These two states alternate approximately every 90 minutes. Read on to learn more about the different stages of sleep and how you can wake up feeling rested.
Sleep Types
Non-REM Sleep
Stage 1: light weight where it is easy to wake up, muscles relax with occasional jerks, eye movements are slow. Stage 2:The movements of the eye cease; brain waves slow down with occasional peaks of fast waves. Stage 3: Occurs mainly in the first half of the night. Deep sleep; the person is hard to wake up, big slow brain waves, the heart and respiratory rate is slow and the muscles are relaxed.
Sleep with MOR
Occurs normally about 90 minutes after falling asleep and longer and deeper periods occur during the second half of the night; cycles along with the non-REM stages throughout the night.The eyes move quickly behind closed eyelids.
Breathing, heart rate and blood pressure are irregular.
This is the stage where dreams come up.
=====
# C4H5NO

The molecule C4H5NO at a distorted geometry (ωB97M-V/def2-TZVPD, the Open Molecules 2025 dataset).

Positions of all 11 atoms, in Å:
O (-1.8426, 0.3396, 0.8760)
C (-0.4786, -0.0260, 1.0378)
C (0.2604, 1.0301, 0.5198)
C (0.9200, 0.5987, -0.6279)
C (0.7225, -0.7764, -0.7007)
N (-0.0939, -1.1673, 0.3061)
H (-1.8740, 0.3634, -0.1048)
H (0.0899, 2.0337, 0.8861)
H (1.3831, 1.2232, -1.3757)
H (1.1308, -1.4875, -1.4039)
H (-0.2177, -2.1314, 0.5872)

Results
2S+1   1
SMILES   Oc1ccc[nH]1
ΔE to the lowest compared entry with this formula, charge and spin   57.8 kcal per mole
Molecular weight   83.09 g/mol
LUMO energy (spin up / spin down)   0.48 / 0.48 eV
E_tot   -285.32253 a.u.

The net atomic charges from natural (NBO), expressed in e, are: -0.698 0.244 -0.196 -0.354 -0.003 -0.535 0.457 0.223 0.228 0.214 0.419

* * * * *

## i
Here is 2 unconnected molecules or ions with the total composition C5H8NS from the OMol25 dataset. Energies are from the ωB97M-V functional and the def2-TZVPD basis.

Its LUMO energy is -3.870 eV. Its gap between HOMO and LUMO is 8.52 eV. As for the net charge: +1.

Last column: Löwdin charge in e.
Atoms and positions in Å:
C1 -2.621 0.256 -0.679  -0.40
C2 -2.732 0.770 0.489  -0.10
C3 1.069 -0.672 0.072  -0.23
C4 0.992 -2.042 0.164  -0.10
C5 1.573 1.694 -0.123  -0.03
N1 1.596 0.365 0.131  0.09
S1 -1.391 -0.622 0.186  0.92
H1 -3.006 0.138 -1.688  0.10
H2 -3.038 1.389 1.211  0.04
H3 1.902 -2.591 0.474  0.13
H4 0.736 -2.236 -0.877  0.11
H5 0.171 -2.476 0.910  0.13
H6 1.593 1.734 -1.174  0.11
H7 2.360 2.185 0.358  0.09
H8 0.797 2.110 0.545  0.13

## ii
Here is 2 unconnected molecules or ions with the total composition C5H8NS from the OMol25 dataset. Energies are from the ωB97M-V functional and the def2-TZVPD basis.

Its LUMO energy is -5.101 eV. Its gap between HOMO and LUMO is 8.71 eV. As for the net charge: +1.

Last column: Löwdin charge in e.
Atoms and positions in Å:
C1 2.568 -0.412 -1.051  -0.12
C2 1.736 0.244 -0.152  -0.08
C3 1.870 -1.040 -2.083  -0.32
C4 -2.003 0.704 1.922  -0.08
C5 -2.712 0.071 0.993  -0.07
N1 0.441 0.047 -0.508  -0.25
S1 0.214 -0.841 -1.890  1.16
H1 3.681 -0.188 -1.115  0.16
H2 1.825 0.574 0.903  0.17
H3 2.391 -1.466 -3.007  0.14
H4 -2.115 0.418 2.977  0.07
H5 -1.462 1.627 1.724  0.05
H6 -0.192 0.506 0.109  0.07
H7 -2.740 0.366 -0.060  0.05
H8 -3.503 -0.609 1.240  0.05

Quick one: most stable of them? ii

* * * * *

# 1
A molecular structure, C39H37BiN4PS2, computed with ωB97M-V/def2-TZVPD.

Values from the calculation:
spin multiplicity = 1
E_HOMO = -15.03 eV
charge = +3
ΔE to the lowest compared entry with this formula, charge and spin = 0.033 eV

XYZ file:
```
84
Properties=species:S:1:pos:R:3:forces:R:3:mulliken_charge:R:1
Bi -0.100447 -0.080160 -0.079704 0.1 -0.1 -0.1 1.709
C 1.575702 -2.635936 -3.124922 0.0 0.0 0.0 -1.841
C 0.341874 -2.563403 -2.270484 0.0 0.0 0.0 0.866
C -0.815876 -1.930651 -2.735542 0.0 0.0 0.0 -0.415
C -2.001372 -1.975069 -2.005469 -0.1 0.0 0.0 -0.452
=====
The muscles of the arms and legs are temporarily paralyzed.
<<<
1.
This record from the Open Molecules 2025 dataset describes a molecular structure, C36H25Br2N2O7PSe2V. The level of theory is the ωB97M-V functional and the def2-TZVPD basis.

```
76
Properties=species:S:1:pos:R:3:forces:R:3:mulliken_charge:R:1
C -2.78367 -2.44085 -1.58899 0.0173 0.0459 -0.0224 -0.424
V 0.16431 -0.29015 1.02128 -0.4113 0.7899 0.2056 0.509
O -7.44910 -2.33894 -0.08589 -0.0005 0.0757 -0.0310 -0.614
C 3.01117 -2.26456 1.45495 0.0052 0.0902 0.0684 0.832
C -1.67754 -2.47723 4.44983 -0.0272 0.0400 0.0762 -1.153
H -1.93411 -3.49238 4.71815 -0.0025 0.0015 0.0091 0.413
C 1.66717 1.25022 -6.50911 -0.0262 0.0106 -0.0052 -0.404
C 1.95797 -2.70693 0.58989 -0.0834 -0.0338 -0.1016 1.232
C 2.30935 4.02458 -1.40411 0.0128 -0.0115 0.0149 -0.338
C 2.56118 1.01324 -5.47448 0.0152 -0.0070 0.0149 -0.651
H 6.11192 -3.23983 2.49870 -0.0047 -0.0072 -0.0098 0.380
C -1.03316 0.04891 3.63562 -0.0063 -0.0024 0.1796 0.719
H -5.42577 -4.21945 -2.76660 0.0012 -0.0041 -0.0028 0.482
C -0.00147 1.90544 -4.90435 -0.0066 -0.0474 0.0093 -0.395
Se 1.60590 0.79093 -0.84590 0.1435 -0.1690 -0.0738 -0.463
C -2.66077 -0.74980 0.28898 -0.0344 -0.0148 -0.0754 0.277
C 0.89346 1.67452 -3.86491 -0.0564 0.0274 0.0243 0.677
C 2.84423 -1.08489 2.24703 0.0404 -0.0135 -0.0286 0.103
C -1.58887 1.01696 5.77344 0.0081 0.1063 -0.0271 0.006
H 1.21709 -4.08341 -0.83968 0.0006 -0.0023 0.0005 0.332
H 4.32548 -3.90348 0.96451 0.0104 -0.0035 0.0032 0.343
C 2.10818 -3.96424 -0.22986 0.0003 -0.0002 0.0521 -1.998
H 2.23152 -4.83606 0.41438 0.0075 0.0000 -0.0015 0.407
H -2.98267 -3.90050 -3.14952 -0.0048 0.0006 -0.0014 0.406
O -1.42319 -0.62072 -0.06634 0.5081 -0.1980 0.4441 -0.256
H 1.96737 1.08408 -7.53658 0.0000 -0.0036 -0.0009 0.353
C -3.42712 -1.71730 -0.59263 -0.0263 0.0803 -0.0020 0.251
N -6.90870 -2.98630 -0.95924 -0.1410 -0.1857 0.1704 1.038
C 1.07930 3.76705 -1.99517 -0.0329 -0.0373 -0.0146 0.653
H -1.00778 2.22870 -4.66626 0.0084 0.0130 0.0108 0.290
O -0.28065 1.41725 1.86854 0.1452 -0.3467 -0.1825 -0.225
H -0.61954 4.62038 -2.97808 0.0044 -0.0055 -0.0056 0.322
C 5.03935 -1.49823 3.21856 -0.0542 0.0326 -0.0058 -0.471
O 0.87083 -2.10938 0.46802 0.0475 -0.2251 -0.0407 -0.027
C 2.17609 1.22382 -4.15857 0.0316 0.0168 0.0170 -0.440
O -3.22067 -0.20337 1.22131 0.0155 -0.0189 0.0153 -0.713
P 0.38469 2.06724 -2.13779 -0.0438 0.0927 -0.0025 0.424
H -0.32262 1.87146 -7.02133 0.0002 0.0016 -0.0035 0.375
C -0.77338 2.39935 3.97600 -0.0697 0.0131 -0.2288 -0.521
O -7.48280 -3.81273 -1.64738 0.0041 0.0461 -0.0724 -0.649
C 5.20589 -2.65383 2.42685 0.0303 -0.0430 -0.0172 -0.857
H 2.49108 7.36953 -1.91458 -0.0013 0.0018 0.0048 0.361
H 3.76984 5.50809 -0.90139 0.0004 0.0038 -0.0012 0.381
C -1.22903 2.24488 5.29138 -0.0322 -0.0809 0.0746 -0.333
H 3.56172 0.65869 -5.69029 0.0009 0.0010 -0.0034 0.378
C -0.68402 1.33149 3.09365 0.0433 0.0935 0.2539 0.408
Se -1.71812 2.10841 -1.94334 -0.0195 0.0340 -0.0511 -0.407
C 0.86394 6.10825 -2.52716 0.0004 0.0014 -0.0007 -0.629
>>>
-- So much for the molecular data --
The third stage of sleep without MOR is the deepest phase of sleep; it is the one that makes you feel well rested and energetic the next day. It is also during this stage of sleep that the body repairs and rebuilds the tissues, rebuilds the bones and muscles and strengthens the immune system. Our need for sleep does not change as we get older; however, finding sleep can become more difficult later in adult life. In women, the onset of menopause brings about hormonal changes that can disrupt sleep. Many older adults struggle to stay asleep at night or tend to wake up very early in the morning. Many adults suffer from occasional insomnia. Life events that can be stressful, such as job loss, death of a family member or transitions and normal life stages can disrupt sleep and make restorative sleep make it more rare. Short periods of difficulty falling asleep or staying asleep are fairly common and do not necessarily occur in conjunction with a major medical condition. If you suffer from occasional insomnia, an over-the-counter medication like ZzzQuil Liquid or ZzzQuil LiquiCaps can help you. Both contain diphenhydramine, an antihistamine known for its ability to help relieve occasional insomnia. Sweet dreams!